Dec 21, 2005 23:15
I'm back obviously. It was an absolutely miserable trip, but more on that later. The one miserable moment of that miserable trip I want to focus on right now is last night. When you go to bed at 6:45 because it's too dark to see, you finish resting long before daylight, so you spend plenty of time dreaming. I had this series of freaky dreams between 2:30 and 4:00 am this morning.
Good Dream
It started out wonderful. I was with Carl, in a car, driving through Conway I believe. Jay and Katy were in the back seat and we were going to a movie. We got kinda lost, but I finally found the right place and we met the whole gang there. Suzy and John, Zach, Hayden, Chuckie, Matt Farley, Matt Farley's girl of the week, MOTHER. o_O
This is where the good dream starts going kinda haywire. We were all going to see some sappy romantic comedy which is why everyone (except Zach, of course) brought a date (well, maybe Zach was there with my Momma, who knows), but after we got there we found out that the other movies showing were like The Hundred Years War, the Norman Invasion of England, and TOTAL WAR: THE MOVIE. lol!! So I was like, hell yeah, no romantic comedies for us!!
(Me): Man all of those movies look great. I don't really care what we go see. You guys pick.
**What comes next are crystal structures, not part of the page:**
~~~
Structure and simulated PXRD pattern of Na3Ni3AsO8 (the GGA+U geometry in Alexandria; copper Kα).
No peak broadening, texture or thermal motion is included.

Most intense lines, 5° ≤ 2θ ≤ 70°, low angle first:
two_theta, I/Imax
16.20, 100.0
32.74, 16.8
35.47, 14.1
36.46, 10.1
36.69, 19.4
41.05, 29.8
41.62, 56.2
53.04, 11.0
57.41, 16.4
62.30, 15.5

a b c (Å): 5.9617 5.9617 6.4464
angles (deg): 117.36 117.36 59.31
Element x y z (fractional)
Na: 0.0000 0.0000 0.0000
Na: 0.0000 0.5000 0.0000
Na: 0.5000 0.0000 0.0000
Ni: 0.0000 0.5000 0.5000
Ni: 0.5000 0.0000 0.5000
Ni: 0.5000 0.5000 0.5000
As: 0.0000 0.0000 0.5000
O: 0.2165 0.2165 0.6866
O: 0.2186 0.7624 0.6929
O: 0.2376 0.7814 0.3071
O: 0.2708 0.2708 0.3167
O: 0.7292 0.7292 0.6833
O: 0.7624 0.2186 0.6929
O: 0.7814 0.2376 0.3071
O: 0.7835 0.7835 0.3134


(1)
Structure and theoretical PXRD pattern of AgCl2 (a cell relaxed with PBE; Cu Ka).

Peak list (10 most intense, 15 to 90 degrees two-theta, in order of rising 2θ)
- 4.106 Å, I 100
- 3.884 Å, I 30
- 3.371 Å, I 44
- 3.173 Å, I 19
- 2.476 Å, I 29
- 2.245 Å, I 22
- 2.132 Å, I 19
- 2.118 Å, I 17
- 2.093 Å, I 25
- 2.053 Å, I 27

Cell and atoms:
Unit cell a=4.350 b=5.501 c=6.910 alpha=90.00 beta=116.75 gamma=90.00
Space group P2_1/c (No. 14)
Symmetry-distinct sites (fractional):
1 Ag 0.000 0.000 0.000 x2
2 Cl 0.280 0.223 0.813 x4



(2)
Structure and theoretical PXRD pattern of PrTeNO (a cell relaxed with PBE; Cu Ka).

Peak list (10 most intense, 15 to 90 degrees two-theta, in order of rising 2θ)
- 3.084 Å, I 100
- 2.974 Å, I 14
- 2.905 Å, I 17
- 2.544 Å, I 9
- 2.300 Å, I 10
- 2.078 Å, I 16
- 1.820 Å, I 9
- 1.804 Å, I 13
- 1.738 Å, I 10
- 1.710 Å, I 15

Cell and atoms:
Unit cell a=5.948 b=9.201 c=5.811 alpha=90.00 beta=90.00 gamma=90.00
Space group Pca2_1 (No. 29)
Symmetry-distinct sites (fractional):
1 Pr 0.026 0.122 0.000 x4
2 Te 0.058 0.397 0.451 x4
3 N 0.217 0.300 0.721 x4
4 O 0.248 0.980 0.250 x4



(3)
Structure and theoretical PXRD pattern of GdDyMg6 (a cell relaxed with PBE; Cu Ka).

Peak list (10 most intense, 15 to 90 degrees two-theta, in order of rising 2θ)
- 4.234 Å, I 73
- 3.667 Å, I 39
- 2.593 Å, I 100
- 2.213 Å, I 27
- 2.207 Å, I 13
- 2.117 Å, I 12
- 1.836 Å, I 12
- 1.683 Å, I 17
- 1.498 Å, I 24
- 1.495 Å, I 12

Cell and atoms:
Unit cell a=5.193 b=7.315 c=5.192 alpha=90.00 beta=90.00 gamma=90.00
Space group Pmm2 (No. 25)
Symmetry-distinct sites (fractional):
1 Gd 0.000 0.000 0.000 x1
2 Dy 0.500 0.500 0.491 x1
3 Mg 0.000 0.251 0.501 x2
4 Mg 0.000 0.500 0.999 x1
5 Mg 0.500 0.000 0.492 x1
6 Mg 0.500 0.251 0.991 x2



(4)
Structure and theoretical PXRD pattern of RbRe3Br10 (a cell relaxed with PBE; Cu Ka).

Peak list (10 most intense, 15 to 90 degrees two-theta, in order of rising 2θ)
- 4.087 Å, I 48
- 2.965 Å, I 80
- 2.940 Å, I 100
- 2.737 Å, I 65
- 2.657 Å, I 59
- 2.508 Å, I 47
- 2.317 Å, I 41
- 2.268 Å, I 38
- 2.200 Å, I 72
- 1.842 Å, I 46

Cell and atoms:
Unit cell a=14.845 b=10.998 c=10.316 alpha=90.00 beta=91.97 gamma=90.00
~~~
(Guys): *argue argue* *bicker bicker*
(Chucky): Do people die in any of them?
(Guys): OMFG Chucky. They're Medieval War movies!
(Chucky): are there any people with swords in them?
(Guys): *throw shit at Chucky*
(Mom): *appears out of nowhere* So. You guys will go watch any movie that we pick out?
(Everyone): Yeah.
(Girls): *in chorus* TITANIC 2!
(Guys): ...
(Jay): Wait a minute. How can you make a sequel to that? The boat sank and everyone died.
(Me): Um...Mom that's stupid. It's not even showing.
(Girls): Yes it is! *all point to a huge sign on the back wall*
(Chucky): Woah, there is a boat in that movie!?
(Guys): OMFG! STFU!
(Mom): You did say any movie we wanted to see.
(Katy): Grrrrrrrr! BLOOD! I want blood! *gnaws on Jay*
(Guys): *grumbling* ok whatever...
So we go to see Titanic 2. As we are walking over there I'm like, "Man, that Total War movie looks so cool."
(Jay): Yeah dude. That movie was awesome!
(Me): OMFG you bastard. You went and saw that without me!
(Jay): Dude, you were gone camping with your Dad.
(Me): Ahhhhhhhhhhhhhhhhhhhhhhhhhhhhhhhhhhhhh!
So then everyone goes into the room and sits down. Jay is still like, "How can you make a sequel to freaking Titanic? The boat SANK!"
Then I realize that I lost Carl, so I go look for him, and I find him at the snack bar, which is actually in the same room as the screen, eating a funnel cake or something. o_O But anyway, as I'm walking up to the snack bar and the woman running it (she works at Blimpies in the real world) says, "What can I get for you, honey?"
(Me): What I want is sitting right there.
(Lady): *looks* Oh...well...I'm afraid that big guy isn't for sale. How about some Raisinettes?
(Me): Oh, I'm not trying to buy him. He's already mine. *climbs up on the table and starts getting all up on him*
(Lady): Ohhhhhhh. I see. That's so cute!
Meanwhile in the background the movie has started. Jay is yelling "HEY EVERYONE! THE BOAT SINKS AT THE END! It sinks and everybody dies!" and people are throwing stuff at him. Chuckie is like, "THE BOAT SINKS?! OMG! That's insane! Where are the swords?" Katy starts kissing Jay to make him shut up before the rest of the girls kill him and Matt's girlfriend was all over him, so I drug Carl to a seat in the back and things had just started to get interesting when...
I woke up to find myself sitting outside by the campfire with Dad. Which struck me as somewhat odd since I was pretty sure that I had fallen asleep in the camper. Dad was rambling on about something and then he stopped and looked at me. His eyes were glowing red and then he metamorphised into a Shadow right before my eyes. I Shifted into a wolf just like the good ol' days and went straight to the throat. I had just started doing some serious damage when...
I woke up in the camper. Ok, I thought. I'm really awake now, but what's that weird noise? I realized it was Dad crying. So I got up and went into his room. He was sitting on the edge of the bed crying and when I asked him what was wrong he said that he had a dream I'd turned into a wolf and killed him. Talk about making the hair stand up on the back of your neck. I told him it was just a dream and that I love him and I gave him a hug. He wrapped his arms around me and then proceeded to turn into a big hairy demon-monkey and tried to strangle me. Wow. I Shifted the Bushubi beast and put an end to that real quick.
Then I woke up. On a school bus. Which instantly tipped me off to the fact that I was still asleep since there are no school busses near our campsite. Dad was there and we were both human. He was driving the bus actually and freaking out about somebody trying to kill him. Then someone shot him in the back of the head with a sniper rifle. o_O He survived that somehow, but the bus went careening over a cliff and crashed in this ravine where it was viciously attacked by a dozen DIRE CHEETAHS. You cannot make this shit up. The DIRE CHEETAHs were throwing themselves at the windows and stuff, so I Shifted Bushubi again and fought a prolonged nasty battle with them. A dozen giant cheetahs is a tough fight for anyone. They didn't get inside the bus though.
Then I woke up. And I was like oh fuck this...I'm not really awake...I'm trapped in some kind of dream web. And I was right. Big hairy monkey demons with glowing red eyes this time. Joy, oh joy.
Then I woke up again. And I was like AHHHHHHHHHHHHHHHHHHHHHHHHHHHHHHH! I'm not sure how many times that repeated itself.
Then I woke up again. And I was like Dear Gods, what now. So I got up and went outside to take a leak and realized that I was actually awake for real when nothing tried to eat me. It was less than two hours from the time I had gone to sleep. WTF??!?
What's sad is that I just went right back to sleep after I made sure that I was awake. Didn't even stay awake freaking out. What's the point? I mean, it's not like Dreams can hurt you, right? -_-
NOTE TO SELF: Have more good dreams about Carl even if your Mother shows up halfway through. Have less freaky dreams that involve things trying to kill you, blood, guts, waking up twenty times, being attacked by cheetahs, etc.